
Say I have a tableview class that lists 100 Foo objects. It has:

@property (nonatomic, retain) NSMutableArray* fooList;

and I fill it up with Foos like:

self.fooList = [NSMutableArray array];
while (something) {
  Foo* foo = [[Foo alloc] init];
  [fooList addObject:foo];
  [foo release];

First question: because the NSMutableArray is marked as retain, that means all the objects inside it are retained too? Am I correctly adding the foo and releasing the local copy after it's been added to the array? Or am I missing a retain call?

Then if the user selects one specific row in the table and I want to display a detail Foo view I call:

FooView* localView = [[FooView alloc] initWithFoo:[self.fooList objectAtIndex:indexPath.row]];  
[self.navigationController pushViewController:localView animated:YES];
[localView release];

Now the FooView class has:

@property (nonatomic, retain) Foo* theFoo;

so now BOTH the array is holding on to that Foo as well as the FooView. But that seems okay right? When the user hits the back button dealloc will be called on FooView and [theFoo release] will be called. Then another back button is hit and dealloc is called on the tableview class and [fooList release] is called.

You might argue that the FooView class should have:

@property (nonatomic, assign) Foo* theFoo;

vs. retain. But sometimes the FooView class is called with a Foo that's not also in an array. So I wanted to make sure it was okay to have two objects holding on to the same other object.


3 Answers


As others say, what you are doing is correct, and the code looks correct to me. I have tens of references to the same object in my code and as long as I have balanced all the retains and releases, everything works fine.

To add a bit more detail... you ask:

because the NSMutableArray is marked as retain, that means all the objects inside it are retained too?

These are two different things. All collection classes (Dictionaries, Arrays, Sets) automatically retain things that you add to them, and release their content objects when the collection object is deallocated. (In case of NSMutableArray, the content object gets released either if you remove it individually from array, or when you deallocate the whole array.)

This has nothing to do with whether the collection object itself is retained or assigned as a property. The only thing to consider there is that if your policy for the collection object property is not correct, it might get released sooner or later than you think and things may get out of balance.

As others say... read the memory management guide, and practice. :) Oh, and read other people's code too from this perspective and try to understand how/why they are doing their memory management.

One other small thing... for every retained property, make sure you have a release call in the object's dealloc method.


To answer your main question, yes you can multiple objects retaining an instance. That is exactly the point of reference-counted memory management. Have a look at the Cocoa Memory Management Programming Guide for more info. Then re-read it. It has all of the answers and will be your best friend.

Basically, sending a -retain message indicates that the sender "owns" the receiver in the sense that the receiver should not be deallocated until all owners have released their ownership. Thus, individual instances don't need to know (nor should they care) whether other owners exist. Retain anything you need to keep around and release it when you're done with it. When all owners have released their ownership, an intsance can be deallocated.

On a side note,

@property (retain,readwrite) NSMutableArray *myArray;

== The article is interrupted by data records ==
- - -
(1)
A relaxed structure of ScBiPt, computed with PBE.

abc: 4.780 4.780 6.388
angles: 90.00 90.00 120.00
Each line ends with the local moment (μB).
Fractional coordinates of all 6 atoms:
Bi: 0.333 0.667 0.250  0.00
Bi: 0.667 0.333 0.750  0.00
Pt: 0.667 0.333 0.250  0.04
Pt: 0.333 0.667 0.750  0.04
Sc: 0.000 0.000 0.000  0.19
Sc: 0.000 0.000 0.500  0.19


(2)
A relaxed structure of ScBiPt, computed with PBE.

abc: 7.410 4.320 8.271
angles: 90.00 90.00 90.00
Fractional coordinates of all 12 atoms:
Bi: 0.289 0.250 0.087
Bi: 0.789 0.250 0.413
Bi: 0.211 0.750 0.587
Bi: 0.711 0.750 0.913
Pt: 0.897 0.250 0.085
Pt: 0.397 0.250 0.415
Pt: 0.603 0.750 0.585
Pt: 0.103 0.750 0.915
Sc: 0.539 0.750 0.239
Sc: 0.039 0.750 0.261
Sc: 0.961 0.250 0.739
Sc: 0.461 0.250 0.761


(3)
A relaxed structure of ScBiPt, computed with PBE.

abc: 7.388 7.388 4.110
angles: 90.00 90.00 120.00
Fractional coordinates of all 9 atoms:
Bi: 0.667 0.333 0.000
Bi: 0.333 0.667 0.000
Bi: 0.000 0.000 0.500
Pt: 0.272 0.000 0.000
Pt: 0.000 0.272 0.000
Pt: 0.728 0.728 0.000
Sc: 0.588 0.000 0.500
Sc: 0.412 0.412 0.500
Sc: 0.000 0.588 0.500


(4)
A relaxed structure of ScBiPt, computed with PBE.

abc: 7.544 7.544 3.996
angles: 90.00 90.00 120.00
Fractional coordinates of all 9 atoms:
Bi: 0.274 0.000 0.000
Bi: 0.000 0.274 0.000
Bi: 0.726 0.726 0.000
Pt: 0.667 0.333 0.000
Pt: 0.333 0.667 0.000
Pt: 0.000 0.000 0.500
Sc: 0.609 0.000 0.500
Sc: 0.391 0.391 0.500
Sc: 0.000 0.609 0.500


(5)
A relaxed structure of ScBiPt, computed with PBE.

abc: 6.271 4.124 10.395
angles: 90.00 90.00 90.00
Fractional coordinates of all 12 atoms:
Bi: 0.628 0.750 0.162
Bi: 0.128 0.750 0.338
Bi: 0.872 0.250 0.662
Bi: 0.372 0.250 0.838
Pt: 0.866 0.250 0.044
Pt: 0.366 0.250 0.456
Pt: 0.634 0.750 0.544
Pt: 0.134 0.750 0.956
Sc: 0.259 0.250 0.131
Sc: 0.759 0.250 0.369
Sc: 0.241 0.750 0.631
Sc: 0.741 0.750 0.869


(6)
A relaxed structure of Sc2BiPt, computed with PBE.

abc: 4.933 4.933 4.933
angles: 60.00 60.00 60.00
Each line ends with the local moment (μB).
Fractional coordinates of all 4 atoms:
Bi: 0.500 0.500 0.500  0.02
Pt: 0.250 0.250 0.250  0.07
Sc: 0.000 0.000 0.000  0.58
Sc: 0.750 0.750 0.750  0.82


(7)
A relaxed structure of YScBi2Pt2, computed with PBE.

abc: 9.384 4.692 14.071
angles: 90.00 109.44 90.00
Fractional coordinates of all 24 atoms:
Bi: 0.563 0.000 0.125
Bi: 0.064 0.000 0.130
Bi: 0.439 0.500 0.377
Bi: 0.938 0.500 0.378
Bi: 0.314 0.000 0.621
Bi: 0.808 0.000 0.623
Bi: 0.682 0.500 0.870
Bi: 0.191 0.500 0.875
Pt: 0.999 0.500 0.000
Pt: 0.380 0.000 0.257
Pt: 0.878 0.000 0.258
Pt: 0.254 0.500 0.497
Pt: 0.743 0.500 0.498
Pt: 0.617 0.000 0.745
Pt: 0.134 0.000 0.752
Pt: 0.498 0.500 0.994
Sc: 0.189 0.000 0.376
Sc: 0.687 0.000 0.377
Sc: 0.560 0.500 0.623
Sc: 0.437 0.000 0.873
Y: 0.314 0.500 0.126
Y: 0.812 0.500 0.126
Y: 0.063 0.500 0.625
Y: 0.936 0.000 0.874


(8)
A relaxed structure of SiBiPt, computed with PBE.

abc: 4.548 4.548 4.548
angles: 60.00 60.00 60.00
Fractional coordinates of all 3 atoms:
- - -
== So much for the data records ==

declares that the class declaring this property will retain the NSMutableArray instance. NSArray, NSDictionary, and NSSet (and their mutable subclasses) always retain their contents.


Yes, it's ok. That's the entire point of a reference counting memory management system.